All of a sudden side stitches while running?

Misplaced crystal structures.
=====
VASP calculation (GGA+U) on an optimized crystal structure of Fe4O7F.

Computed properties:
Total energy: -147.321 eV/cell
ΔE_f: -1.460 eV per atom
Magnetization: 34.2 μB per cell
Energy above the lowest structure with this stoichiometry: 4.2 meV/atom

abc: 5.997 4.643 9.267
angles: 88.13 90.00 90.00
Fractional coordinates of all 24 atoms:
Fe: 0.995 0.982 0.743
Fe: 0.505 0.982 0.743
Fe: 0.005 0.018 0.257
Fe: 0.495 0.018 0.257
Fe: 0.250 0.502 0.501
Fe: 0.750 0.498 0.499
Fe: 0.250 0.529 0.015
Fe: 0.750 0.471 0.985
O: 0.250 0.211 0.354
O: 0.750 0.195 0.347
O: 0.750 0.173 0.838
O: 0.001 0.305 0.595
O: 0.499 0.305 0.595
O: 0.998 0.314 0.097
O: 0.502 0.314 0.097
O: 0.999 0.695 0.405
O: 0.501 0.695 0.405
O: 0.002 0.686 0.903
O: 0.498 0.686 0.903
O: 0.250 0.805 0.653
O: 0.750 0.789 0.646
O: 0.250 0.827 0.162
F: 0.250 0.189 0.848
F: 0.750 0.811 0.152

***

VASP calculation (GGA+U) on an optimized crystal structure of Fe6OF11.

Computed properties:
Total energy: -102.028 eV/cell
ΔE_f: -2.473 eV per atom
Magnetization: 25.0 μB per cell
Energy above the lowest structure with this stoichiometry: 9.8 meV/atom

abc: 4.838 5.845 8.113
angles: 87.62 89.51 89.59
Fractional coordinates of all 18 atoms:
Fe: 0.497 0.170 0.335
Fe: 0.511 0.491 0.995
Fe: 0.504 0.829 0.666
Fe: 0.007 0.665 0.330
Fe: 0.988 0.333 0.678
Fe: 0.983 0.022 0.994
O: 0.806 0.281 0.910
F: 0.802 0.632 0.565
F: 0.806 0.974 0.223
F: 0.712 0.802 0.902
F: 0.695 0.474 0.239
F: 0.703 0.129 0.563
F: 0.302 0.865 0.430
F: 0.300 0.534 0.765
F: 0.288 0.194 0.103
F: 0.203 0.021 0.776
F: 0.196 0.365 0.438
F: 0.198 0.718 0.088

***

VASP calculation (GGA+U) on an optimized crystal structure of Fe5O3F7.

Computed properties:
Total energy: -174.867 eV/cell
ΔE_f: -2.228 eV per atom
Magnetization: 46.0 μB per cell
Energy above the lowest structure with this stoichiometry: 2.3 meV/atom

abc: 4.811 4.820 15.576
angles: 90.13 90.23 91.02
Fractional coordinates of all 30 atoms:
Fe: 0.959 0.028 0.996
Fe: 0.003 0.995 0.800
Fe: 0.022 0.023 0.600
Fe: 0.022 0.026 0.400
Fe: 0.045 0.972 0.205
Fe: 0.540 0.526 0.906
Fe: 0.487 0.488 0.499
Fe: 0.475 0.474 0.702
Fe: 0.477 0.487 0.294
Fe: 0.500 0.502 0.101
=====

jennypapage Posts: 489 Member
edited March 2017 in Fitness and Exercise
So, i have been running regularly since july, 3 times a week. I started with c25k and now i'm able to run 14kms non stop without any problems.Well, until now.
I've had the occassional side stitch here and there. Sometimes on the left side, sometimes on the right. A couple of deep breaths and running slower did the trick and the stitch would go away without me needing to stop.But the past week and a half has been different.
It started last Monday during my long run. I had been running for about 15', when i felt this really sharp pain on my right side like i hadn't felt before.It was so intense, that for the first time i actually had to stop running and walk. So i walked for a couple of minutes,felt it go away, started running again, still there. And i walked some more and tried running again, still there. So i gave up and went home.
Wednesday it happened again. Exactly the same spot, about 10' after i started. I was determined not to give up this time, so i slowed down, and i did everything i normally do when i get stitches.It didn't help. With every step with my right foot, sharp pain on my right side.Going up and down sidewalks was torture. But i pushed through and eventually it got less and less. I could feel it during the whole run, but at least it wasn't as painful. Friday, same thing. If i push through it, the pain diminishes, but it's still there.
At first i thought i wasn't getting enough oxygen because it was very windy last week and i had it against me. The wind died down, but i still got them. Then i thought i had my sports bra too tight. Used a looser setting, still got them.
Yesterday was my long run again. Less than 15' in my run, there it was,exactly the same spot. i was intentionally going extra slow to see if that would make a difference, and i still got one. About half way i felt the pain subside more and by the end it was almost gone.
I haven't changed anything in my posture, my technique or my pre-run eating habbits. Just one day it appeared, and nothing seems to make it not appear. I could really use some advice from more experienced runners. Should i just take a week off from running? Could that help?


  • mgalovic01
    mgalovic01 Posts: 388 Member
    I used to get them too, but haven't gotten them in a while. I don't think they can really hurt anything. They're just really painful. When I'd get them, I'd just try to finish out my run as best as I could without exacerbating the pain too much. That would probably consist of me bending over a tiny bit and kind of feeling my way as I go. Pushing through the pain is a good exercise for mental toughness. They'll eventually go away, but who knows when.
    I think they're caused by the stress from doing one thing over and over again for an extended period of time. These days I'll add things like running backwards, side skips, the shuffle run, and juke moves and cuts to my runs. I've been running before the sun comes up, so not a lot of people are out. A cell phone flashlight provides better visibility and makes me more visible as well.
  • Bluepegasus
    Bluepegasus Posts: 333 Member
    You need to control your breathing, stitches are usually caused by breathing too fast and too shallow. Really concentrate on making sure your breathing is nice and deep and slow, even if that means slowing down your pace a bit.
  • getupforchange
    getupforchange Posts: 86 Member
    Did you change your route? I used to run in Richmond Park a lot and never got stitches then tried running in the city centre and I subconsciously changed my breathing because I was aware of the bad London air, something I completely didn't think about in the park.
  • RuNaRoUnDaFiEld
    RuNaRoUnDaFiEld Posts: 5,864 Member
    I have to alter my footing to the other foot when it happens.

  • ritzvin
    ritzvin Posts: 2,860 Member
    edited March 2017
    Work on your breathing...make sure you are breathing in/out fully (as in all the way to your diaphragm expanding and contracting). (As Bluepegasis said above, shallow breathing will cause them).
  • lporter229
    lporter229 Posts: 4,907 Member
    Side stitches can also be a result of dehydration. Are you well hydrated? It's very easy to get dehydrated in the dry, cooler months. It may also be caused by a change in your form. Is there something that has been bothering you that might have caused you to change your running form?
  • MeanderingMammal
    MeanderingMammal Posts: 7,866 Member
    I'd veer towards hydration levels. Not specifically what you've consumed on the move but your general hydration.

    Given the distances you're currently running the breathing suggestions don't really stack up.
  • jennypapage
    jennypapage Posts: 489 Member
    The thing is , it starts almost immediately. Today,less than 10' into my run.I'm not tired at all at that point, so my breathing is pretty even and regular.I haven't changed anything in my routine/route/running/breathing technique. I'm starting to think it has nothing to do with running, and i might just feel it more when i run. Yesterday and today i also got it while i was walking the dog in the morning, very mild but noticeably there. I'm wondering if it is related to a hand muscle pain i've been having these past couple of weeks. It's also my right hand and it has also been affecting my lower right arm.Too many coincidences?
    Well today like i said it appeared very early on, but it wasn't too severe so i kept going at my normal speed. By the end i could barely feel it.
  • xjulesjx
    xjulesjx Posts: 75 Member
    You need to keep hydrated. Usually a sign of dehydration when exercising.
  • jennypapage
    jennypapage Posts: 489 Member
    Just thought i'd let everyone know, the pain is gone and so is my hand pain. I'm guessing they were probably connected through a nerve or something like that.Once my hand got better, my side stopped hurting too.